____________
12
Lattice="5.1731 0.0000 0.0000 0.0000 6.8205 0.0000 0.0000 0.0000 10.1576" Properties=species:S:1:pos:R:3 comment="PBE-GGA LaTbHo2Tl2, relaxed" formation_enthalpy_0k_ev_per_atom=-0.27 total_energy_ev_per_atom=-4.18 pbc="T T T"
Ho 2.5865 0.3562 0.4442
Ho 0.0000 5.7031 8.3266
Ho 2.5865 3.7664 9.7134
Ho 0.0000 2.2929 1.8310
Tl 0.0000 2.0396 8.8396
Tl 2.5865 1.5070 3.6239
Tl 0.0000 5.4498 1.3180
Tl 2.5865 4.9172 6.5336
Tb 2.5865 4.6555 3.0916
Tb 2.5865 1.2452 7.0659
La 0.0000 6.5111 4.6441
La 0.0000 3.1009 5.5134

7
Lattice="5.0227 0.0000 0.0000 -2.5114 3.8517 4.1083 0.0000 1.1624 12.7889" Properties=species:S:1:pos:R:3 comment="PBE-GGA LaTb2Ho2Tm2, relaxed" formation_enthalpy_0k_ev_per_atom=0.03 total_energy_ev_per_atom=-4.58 pbc="T T T"
Ho 2.5114 1.2852 8.8259
Ho 0.0000 3.7289 8.0713
Tb 0.0000 2.3077 3.2519
Tb 2.5114 2.7064 13.6452
La 0.0000 0.5812 6.3945
Tm 2.5114 3.0276 5.6777
Tm 0.0000 1.9866 11.2195

12
Lattice="-2.4762 -4.2531 -3.7435 4.9361 3.2382 -1.8392 6.1818 -7.7457 6.4085" Properties=species:S:1:pos:R:3 comment="PBE-GGA La2Tb3Ho6Tm, relaxed" formation_enthalpy_0k_ev_per_atom=0.02 total_energy_ev_per_atom=-4.62 pbc="T T T"
La -0.0028 -1.7533 -3.1080
La 2.4627 0.7385 -2.4746
Tb 1.8490 -6.8784 -0.2221
Tb 4.3208 -4.3803 0.4129
Tb 6.7927 -1.8821 1.0479
Ho 7.6894 -5.3023 0.9187
Ho 5.2303 -7.7876 0.2869
Ho 0.9523 -3.4582 -0.0929
Ho 5.2221 -6.0323 3.4037
Ho 3.4114 -0.9729 0.5389
Ho 3.4196 -2.7282 -2.5779
Tm 0.0000 0.0000 0.0000

12
Lattice="-3.9827 -0.6337 4.6289 -0.0915 -3.9624 -4.6884 8.9148 -5.2498 5.5987" Properties=species:S:1:pos:R:3 comment="PBE-GGA LaTb3Ho6Tm2, relaxed" formation_enthalpy_0k_ev_per_atom=0.02 total_energy_ev_per_atom=-4.58 pbc="T T T"
Tb 1.1250 -3.8149 5.8711
Tb 2.4203 -4.9230 2.7695
Tb 3.7156 -6.0310 -0.3320
Tm -2.6857 -1.7432 1.5233
Tm -1.3885 -2.8529 -1.5828
Ho 5.6543 -5.0819 4.1770
Ho 0.5612 -1.9202 2.9514
Ho 1.8641 -3.0347 -0.1683
Ho 2.9765 -6.8112 5.7074
Ho -0.8137 -4.7641 1.3621
Ho 4.2793 -7.9258 2.5877
La 0.0000 0.0000 0.0000

12
Lattice="5.6228 0.0000 0.0000 0.0000 9.8024 0.0000 0.0000 0.0000 6.9133" Properties=species:S:1:pos:R:3 comment="PBE-GGA LaTbHo2Tm2, relaxed" formation_enthalpy_0k_ev_per_atom=0.07 total_energy_ev_per_atom=-4.54 pbc="T T T"
La 2.8114 4.9012 3.4567
La 0.0000 0.0000 0.0000
Ho 0.0000 6.5322 5.1969
Ho 0.0000 3.2702 1.7164
Ho 2.8114 1.6310 5.1731
Ho 2.8114 8.1714 1.7402
Tm 2.8114 1.6347 1.7366
Tm 0.0000 6.5359 1.7201
Tm 2.8114 8.1677 5.1768
Tm 0.0000 3.2665 5.1932
Tb 2.8114 4.9012 0.0000
Tb 0.0000 0.0000 3.4567

18
Lattice="5.6295 0.0000 0.0000 -2.8148 9.9423 0.0000 0.0000 0.0000 10.6989" Properties=species:S:1:pos:R:3 comment="PBE-GGA La2TbHo5Tm, relaxed" formation_enthalpy_0k_ev_per_atom=0.14 total_energy_ev_per_atom=-4.51 pbc="T T T"
Ho 2.8148 2.1955 5.5831
Ho 0.0000 7.7468 0.2337
Ho 0.0000 5.5991 3.2701
Ho 0.0000 9.5462 7.9113
Ho 0.0000 0.3298 0.2660
Ho 0.0000 5.9691 7.5574
Ho 2.8148 3.9732 2.2080
Ho 2.8148 0.3961 2.5618
Ho 2.8148 9.6125 5.6154
Ho 2.8148 4.3432 8.6195
Tm 2.8148 1.7403 10.2838
Tm 0.0000 8.2020 4.9343
La 2.8148 7.7118 2.5020
La 2.8148 7.6457 8.7698
La 0.0000 2.2966 3.4203
La 0.0000 2.2305 7.8514
Tb 2.8148 5.9555 5.4678
Tb 0.0000 3.9868 0.1183

18
Lattice="-4.7816 -3.6956 6.5311 -4.1754 -5.1246 -5.9567 9.5905 -0.7268 0.5488" Properties=species:S:1:pos:R:3 comment="PBE-GGA LaTbHo2Tm5, relaxed" formation_enthalpy_0k_ev_per_atom=0.29 total_energy_ev_per_atom=-4.28 pbc="T T T"
Tm 3.2226 -3.8470 3.7668
Tm -5.3612 -8.0157 0.0780
Tm 5.9947 -1.5313 1.0452
Tm 4.3437 -3.7561 -2.5295
Tm 1.5716 -6.0718 0.1921
Tm 0.0000 0.0000 0.0000
Tm -2.5891 -5.6999 -2.6437
Tm -4.4785 -4.4101 0.2872
Tm -3.7102 -5.7909 3.6527
Tm -0.9381 -3.4751 0.9311
La -1.9225 -6.9785 0.7052
La 2.5560 -2.5684 0.4180
Tb 0.1652 -4.4162 3.6835
Tb 0.4683 -5.1307 -2.5604
Ho -2.1560 -2.4013 -1.5717
Ho -5.5573 -5.9788 -2.7558
Ho -3.3998 -2.8414 3.3303
Ho -6.8010 -6.4189 2.1461

4
____________
Could you write out the lines earlier on up to the one that holds "2.5114 3.0276", that line included?
12
Lattice="5.1731 0.0000 0.0000 0.0000 6.8205 0.0000 0.0000 0.0000 10.1576" Properties=species:S:1:pos:R:3 comment="PBE-GGA LaTbHo2Tl2, relaxed" formation_enthalpy_0k_ev_per_atom=-0.27 total_energy_ev_per_atom=-4.18 pbc="T T T"
Ho 2.5865 0.3562 0.4442
Ho 0.0000 5.7031 8.3266
Ho 2.5865 3.7664 9.7134
Ho 0.0000 2.2929 1.8310
Tl 0.0000 2.0396 8.8396
Tl 2.5865 1.5070 3.6239
Tl 0.0000 5.4498 1.3180
Tl 2.5865 4.9172 6.5336
Tb 2.5865 4.6555 3.0916
Tb 2.5865 1.2452 7.0659
La 0.0000 6.5111 4.6441
La 0.0000 3.1009 5.5134

7
Lattice="5.0227 0.0000 0.0000 -2.5114 3.8517 4.1083 0.0000 1.1624 12.7889" Properties=species:S:1:pos:R:3 comment="PBE-GGA LaTb2Ho2Tm2, relaxed" formation_enthalpy_0k_ev_per_atom=0.03 total_energy_ev_per_atom=-4.58 pbc="T T T"
Ho 2.5114 1.2852 8.8259
Ho 0.0000 3.7289 8.0713
Tb 0.0000 2.3077 3.2519
Tb 2.5114 2.7064 13.6452
La 0.0000 0.5812 6.3945
Tm 2.5114 3.0276 5.6777